File >
-- begin --
[1]
Computed powder diffraction line list of NaSrHg2Au2 for Cu Kα (weighted mean of Kα1 and Kα2), from a crystal structure in Alexandria, relaxed with PBE.
Lines closer than 0.1° are merged.

Structure:
abc: 4.9466 4.9466 7.0925
angles: 90.00 90.00 120.00
Space group P-3m1 (No. 164)
Unique sites:
Na: 0.0000 0.0000 0.0000
Sr: 0.0000 0.0000 0.5000
Hg: 0.3333 0.6667 0.7935
Au: 0.3333 0.6667 0.2417

Main lines, most intense first (2θ from 5° to 70°):
h k l, d_spacing, two_theta, I/Imax
1 1 0, 2.473, 36.3, 1000
1 0 2, 2.732, 32.8, 800
1 1 2, 2.029, 44.7, 535
0 0 2, 3.546, 25.1, 396
1 0 0, 4.284, 20.7, 386
0 2 2, 1.833, 49.7, 251
2 1 2, 1.473, 63.1, 246
1 1 4, 1.441, 64.7, 213
3 0 0, 1.428, 65.3, 183
1 1 3, 1.709, 53.6, 141
1 0 1, 3.667, 24.3, 111
0 0 4, 1.773, 51.5, 70

---

[2]
Computed powder diffraction line list of CdFeAsSe2 for Cu Kα (weighted mean of Kα1 and Kα2), from a crystal structure in Alexandria, relaxed with PBE.
Lines closer than 0.1° are merged.

Structure:
abc: 4.9532 4.9532 4.4533
angles: 90.00 90.00 90.00
Space group P4/mmm (No. 123)
Unique sites:
Cd: 0.0000 0.0000 0.0000
Fe: 0.5000 0.5000 0.5000
As: 0.5000 0.5000 0.0000
Se: 0.0000 0.5000 0.5000

Main lines, most intense first (2θ from 5° to 70°):
h k l, d_spacing, two_theta, I/Imax
1 1 1, 2.753, 32.5, 1000
2 0 0, 2.477, 36.3, 732
2 0 2, 1.656, 55.5, 412
3 1 1, 1.478, 62.9, 291
0 0 2, 2.227, 40.5, 267
2 2 0, 1.751, 52.2, 249
2 2 2, 1.377, 68.1, 218
1 0 1, 3.312, 26.9, 181
1 1 3, 1.367, 68.7, 112
1 1 0, 3.502, 25.4, 95
2 1 1, 1.983, 45.7, 81
1 1 2, 1.879, 48.4, 31

---

[3]
Computed powder diffraction line list of La4Ti3S4O8 for Cu Kα (weighted mean of Kα1 and Kα2), from a crystal structure in Alexandria, relaxed with PBE.
Lines closer than 0.1° are merged.

Structure:
abc: 18.6553 3.9556 17.9241
angles: 90.00 110.35 90.00
Space group C2 (No. 5)
Unique sites:
La: 0.0509 0.0000 0.1843
La: 0.1345 0.9849 0.4387
La: 0.1882 0.9937 0.6766
La: 0.2028 0.4808 0.0708
Ti: 0.0000 0.3024 0.5000
Ti: 0.0000 0.5797 0.0000
Ti: 0.0096 0.5267 0.6889
Ti: 0.1502 0.4537 0.8276
S: 0.0798 0.9762 0.9715
S: 0.1318 0.4881 0.3101
S: 0.2127 0.4971 0.5646
S: 0.2166 0.9895 0.1993
O: 0.0067 0.9822 0.3102
O: 0.0415 0.4786 0.4248
O: 0.0436 0.4793 0.8070
O: 0.0656 0.4896 0.1037
O: 0.0760 0.0210 0.5511
O: 0.1143 0.4950 0.7028
O: 0.1656 0.9931 0.8214
O: 0.2167 0.4839 0.9348

Main lines, most intense first (2θ from 5° to 70°):
h k l, d_spacing, two_theta, I/Imax
3 1 -1, 3.338, 26.7, 1000
1 1 -4, 2.957, 30.2, 817
1 1 4, 2.739, 32.7, 683
4 0 -1, 4.644, 19.1, 567
6 0 2, 2.499, 35.9, 487
0 2 0, 1.978, 45.9, 424
6 0 -2, 3.107, 28.7, 414
3 1 -9, 1.778, 51.4, 374
0 0 8, 2.101, 43.1, 354
7 1 -2, 2.208, 40.9, 354
5 1 2, 2.335, 38.6, 340
4 0 -5, 3.271, 27.3, 338

----------

# 1
For MnHg3Br8, a structure optimized by DFT (GGA-PBE) gives the theoretical X-ray diffraction stick pattern in this record (Cu Kα, 1.54184 Å).
Neutral-atom scattering factors, no anomalous dispersion.

Crystal structure
abc: 14.1929 8.1192 8.2835
angles: 90.00 124.73 90.00
Space group C2/m (No. 12)
One atom of each set of equivalent atoms:
Mn 0.0000 0.0000 0.0000 [2 per cell]
Hg 0.0000 0.5000 0.0000 [2 per cell]
Hg 0.2500 0.2500 0.0000 [4 per cell]
Br 0.0016 0.2379 0.7712 [8 per cell]
Br 0.2348 0.0000 0.2282 [4 per cell]
Br 0.2466 0.5000 0.2344 [4 per cell]

Top 10 peaks for 2θ from 10° to 90°, most intense first:
d (Å)	2theta	Rel. int.	hkl
6.808	13.0	100	0 0 1
2.899	30.8	83	2 2 -2
2.069	43.8	45	2 2 2
2.916	30.7	42	4 0 0
2.044	44.3	30	6 2 -2
3.472	25.7	30	2 2 -1
3.498	25.5	20	4 0 -1
2.246	40.1	18	2 2 -3
1.957	46.4	18	6 2 -3
2.672	33.5	16	2 2 1

# 2
For NaMnHg2Br8, a structure optimized by DFT (GGA-PBE) gives the theoretical X-ray diffraction stick pattern in this record (Cu Kα, 1.54184 Å).
Neutral-atom scattering factors, no anomalous dispersion.

Crystal structure
abc: 6.9609 7.3135 8.5511
angles: 105.06 93.36 102.50
Space group P-1 (No. 2)
One atom of each set of equivalent atoms:
Na 0.0000 0.0000 0.0000 [1 per cell]
-- stop --
What to do >
Search the lines further above for the word "to" and transcribe each line that has it.
Outcome >
Main lines, most intense first (2θ from 5° to 70°):
Main lines, most intense first (2θ from 5° to 70°):
Main lines, most intense first (2θ from 5° to 70°):
Top 10 peaks for 2θ from 10° to 90°, most intense first: